### Assignment
Restate the block further down unchanged, please.

### Data
<<<
NaZr3TaP6O24: optimized geometry, GGA-PBE.

Summary:
For the energy relative to the elements, the calculation gives -3.1412 eV/atom. The uncorrected energy comes out at -8.100 eV/atom.

a b c (Å): 8.8737 8.8737 23.1124
angles (deg): 90.00 90.00 120.00
Space group P3 (No. 143)
Unique sites:
Na (0.0000, 0.0000, 0.0000) (multiplicity 1)
Na (0.0000, 0.0000, 0.4988) (multiplicity 1)
Na (0.3333, 0.6667, 0.1639) (multiplicity 1)
Zr (0.0000, 0.0000, 0.1460) (multiplicity 1)
Zr (0.0000, 0.0000, 0.3522) (multiplicity 1)
Zr (0.0000, 0.0000, 0.6466) (multiplicity 1)
Zr (0.0000, 0.0000, 0.8513) (multiplicity 1)
Zr (0.3333, 0.6667, 0.0202) (multiplicity 1)
Zr (0.3333, 0.6667, 0.5252) (multiplicity 1)
Zr (0.6667, 0.3333, 0.1883) (multiplicity 1)
Zr (0.6667, 0.3333, 0.4733) (multiplicity 1)
Zr (0.6667, 0.3333, 0.9747) (multiplicity 1)
Ta (0.3333, 0.6667, 0.3133) (multiplicity 1)
Ta (0.3333, 0.6667, 0.8111) (multiplicity 1)
Ta (0.6667, 0.3333, 0.6868) (multiplicity 1)
P (0.9999, 0.2932, 0.7490) (multiplicity 3)
P (0.0049, 0.7108, 0.2498) (multiplicity 3)
P (0.0488, 0.6684, 0.9147) (multiplicity 3)
P (0.0505, 0.3814, 0.4163) (multiplicity 3)
P (0.3779, 0.0453, 0.0822) (multiplicity 3)
P (0.3822, 0.3307, 0.5825) (multiplicity 3)
O (0.0294, 0.2000, 0.4081) (multiplicity 3)
O (0.0294, 0.8301, 0.9065) (multiplicity 3)
O (0.0350, 0.2128, 0.6958) (multiplicity 3)
O (0.0406, 0.8262, 0.1960) (multiplicity 3)
O (0.1274, 0.6334, 0.5768) (multiplicity 3)
O (0.1379, 0.4948, 0.0766) (multiplicity 3)
O (0.1432, 0.4953, 0.3616) (multiplicity 3)
O (0.1438, 0.6484, 0.8609) (multiplicity 3)
O (0.1583, 0.4758, 0.7618) (multiplicity 3)
O (0.1611, 0.6982, 0.9685) (multiplicity 3)
O (0.1631, 0.4661, 0.4696) (multiplicity 3)
O (0.1690, 0.6907, 0.2599) (multiplicity 3)
O (0.1946, 0.0245, 0.0886) (multiplicity 3)
O (0.2001, 0.1699, 0.5912) (multiplicity 3)
O (0.2036, 0.1823, 0.3034) (multiplicity 3)
O (0.2129, 0.0350, 0.8023) (multiplicity 3)
O (0.4627, 0.1551, 0.0278) (multiplicity 3)
O (0.4653, 0.3020, 0.5289) (multiplicity 3)
O (0.4695, 0.3180, 0.2410) (multiplicity 3)
O (0.4760, 0.1584, 0.7362) (multiplicity 3)
O (0.4874, 0.1291, 0.1366) (multiplicity 3)
O (0.4947, 0.1278, 0.4216) (multiplicity 3)
O (0.4948, 0.3658, 0.9209) (multiplicity 3)
O (0.4955, 0.3515, 0.6370) (multiplicity 3)
>>>

### Here it is
NaZr3TaP6O24: optimized geometry, GGA-PBE.

Summary:
For the energy relative to the elements, the calculation gives -3.1412 eV/atom. The uncorrected energy comes out at -8.100 eV/atom.

a b c (Å): 8.8737 8.8737 23.1124
angles (deg): 90.00 90.00 120.00
Space group P3 (No. 143)
Unique sites:
Na (0.0000, 0.0000, 0.0000) (multiplicity 1)
Na (0.0000, 0.0000, 0.4988) (multiplicity 1)
Na (0.3333, 0.6667, 0.1639) (multiplicity 1)
Zr (0.0000, 0.0000, 0.1460) (multiplicity 1)
Zr (0.0000, 0.0000, 0.3522) (multiplicity 1)
Zr (0.0000, 0.0000, 0.6466) (multiplicity 1)
Zr (0.0000, 0.0000, 0.8513) (multiplicity 1)
Zr (0.3333, 0.6667, 0.0202) (multiplicity 1)
Zr (0.3333, 0.6667, 0.5252) (multiplicity 1)
Zr (0.6667, 0.3333, 0.1883) (multiplicity 1)
Zr (0.6667, 0.3333, 0.4733) (multiplicity 1)
Zr (0.6667, 0.3333, 0.9747) (multiplicity 1)
Ta (0.3333, 0.6667, 0.3133) (multiplicity 1)
Ta (0.3333, 0.6667, 0.8111) (multiplicity 1)
Ta (0.6667, 0.3333, 0.6868) (multiplicity 1)
P (0.9999, 0.2932, 0.7490) (multiplicity 3)
P (0.0049, 0.7108, 0.2498) (multiplicity 3)
P (0.0488, 0.6684, 0.9147) (multiplicity 3)
P (0.0505, 0.3814, 0.4163) (multiplicity 3)
P (0.3779, 0.0453, 0.0822) (multiplicity 3)
P (0.3822, 0.3307, 0.5825) (multiplicity 3)
O (0.0294, 0.2000, 0.4081) (multiplicity 3)
O (0.0294, 0.8301, 0.9065) (multiplicity 3)
O (0.0350, 0.2128, 0.6958) (multiplicity 3)
O (0.0406, 0.8262, 0.1960) (multiplicity 3)
O (0.1274, 0.6334, 0.5768) (multiplicity 3)
O (0.1379, 0.4948, 0.0766) (multiplicity 3)
O (0.1432, 0.4953, 0.3616) (multiplicity 3)
O (0.1438, 0.6484, 0.8609) (multiplicity 3)
O (0.1583, 0.4758, 0.7618) (multiplicity 3)
O (0.1611, 0.6982, 0.9685) (multiplicity 3)
O (0.1631, 0.4661, 0.4696) (multiplicity 3)
O (0.1690, 0.6907, 0.2599) (multiplicity 3)
O (0.1946, 0.0245, 0.0886) (multiplicity 3)
O (0.2001, 0.1699, 0.5912) (multiplicity 3)
O (0.2036, 0.1823, 0.3034) (multiplicity 3)
O (0.2129, 0.0350, 0.8023) (multiplicity 3)
O (0.4627, 0.1551, 0.0278) (multiplicity 3)
O (0.4653, 0.3020, 0.5289) (multiplicity 3)
O (0.4695, 0.3180, 0.2410) (multiplicity 3)
O (0.4760, 0.1584, 0.7362) (multiplicity 3)
O (0.4874, 0.1291, 0.1366) (multiplicity 3)
O (0.4947, 0.1278, 0.4216) (multiplicity 3)
O (0.4948, 0.3658, 0.9209) (multiplicity 3)
O (0.4955, 0.3515, 0.6370) (multiplicity 3)